Work order:
Set down the calculation results further below from the line with "0.34" to the end word for word.

Excerpt:
-- begin --
1.
Molecular formula: C13H11ClN2
Method: DFT, wB97M-V/def2-TZVPD

Computed properties:
E_HOMO in eV: -7.686
Structure (SMILES): Cc1cc(Cl)n(C)c2nc3ccccc3c1-2
Relative energy (zero: lowest compared OMol25 entry of this formula, charge and spin) in kcal per mole: 0.0
Orbital gap in eV: 7.727

ORCA input file:
```
! wB97M-V def2-TZVPD RIJCOSX def2/J DEFGRID3
* xyz 0 1
Cl -3.98 2.08 -1.37
N 0.30 -0.81 -1.66
C -0.53 0.05 -1.09
C -2.13 1.65 0.52
C -0.15 0.28 0.24
C -2.47 1.42 -0.80
C -0.88 1.07 1.07
C 3.08 -2.41 0.34
C 2.87 -1.67 1.55
C 2.28 -2.16 -0.78
C 1.85 -0.69 1.61
C 1.25 -1.21 -0.71
C 1.04 -0.52 0.48
N -1.62 0.75 -1.66
C -0.53 1.25 2.51
C -1.91 0.63 -3.09
H -2.83 2.16 1.14
H 3.86 -3.13 0.31
H 3.58 -1.70 2.36
H 2.47 -2.67 -1.71
H 1.74 -0.11 2.51
H -1.25 1.93 2.94
H 0.48 1.65 2.68
H -0.61 0.32 3.05
H -0.96 0.60 -3.62
H -2.42 1.51 -3.51
H -2.54 -0.27 -3.30
*
```


2.
Molecular formula: C13H11ClN2O3S
Method: DFT, wB97M-V/def2-TZVPD

Computed properties:
E_HOMO in eV: -8.693
Structure (SMILES): O=S(=O)(c1ccc(Cl)cc1)c1ccc(C2=NCCN2)o1
Relative energy (zero: lowest compared OMol25 entry of this formula, charge and spin) in kcal per mole: 70.8
Orbital gap in eV: 8.650

ORCA input file:
```
! wB97M-V def2-TZVPD RIJCOSX def2/J DEFGRID3
* xyz 0 1
O -1.23 2.64 -2.16
O 1.14 3.25 -2.26
Cl 1.16 -3.29 -4.89
N -0.01 -0.47 3.92
O -0.48 0.99 0.58
C -0.56 -0.17 2.79
C 1.29 1.43 1.93
C 1.43 2.17 0.67
C 0.06 0.77 1.82
C 0.41 1.76 -0.15
C 1.68 -1.41 -3.03
C -0.06 -0.89 -4.58
C 1.52 -0.14 -2.43
C -0.29 0.33 -3.94
C 0.92 -1.77 -4.11
C 0.50 0.67 -2.85
N -1.84 -0.73 2.64
C -0.96 -1.37 4.64
C -2.27 -1.29 3.92
S 0.15 2.20 -1.89
H 2.00 1.28 2.77
H 2.27 2.82 0.41
H 2.47 -2.11 -2.69
H -0.66 -1.17 -5.48
H 2.19 0.19 -1.63
H -1.05 0.99 -4.39
H -2.48 -0.38 1.91
H -1.05 -1.07 5.69
H -0.57 -2.39 4.54
H -2.75 -2.27 3.81
H -2.96 -0.58 4.43
*
```


3.
Molecular formula: C13H11EuF7GaO2S
Method: DFT, wB97M-V/def2-TZVPD

Computed properties:
E_HOMO (alpha / beta) in eV: -10.987 / -10.987
Relative energy (zero: lowest compared OMol25 entry of this formula, charge and spin) in kcal per mole: 0.0
Orbital gap (alpha / beta) in eV: 4.975 / 5.136

ORCA input file:
```
! wB97M-V def2-TZVPD RIJCOSX def2/J DEFGRID3
* xyz 1 8
C 2.52 3.93 1.49
C 1.92 2.96 1.03
Ga 1.25 1.22 0.13
C 2.82 0.29 -0.86
C 2.43 -1.16 -1.39
C 3.56 -2.17 -0.91
F 4.84 -1.62 -1.28
C -0.29 1.78 -1.16
F -0.38 3.16 -1.33
F -0.03 1.21 -2.43
C -1.60 1.14 -0.56
C -2.46 1.97 0.36
C -3.67 1.27 0.93
C -3.94 -0.17 0.57
C -3.09 -0.97 -0.36
C -3.37 -2.45 -0.77
F -3.13 -3.31 0.32
F -2.50 -2.87 -1.79
F -4.69 -2.56 -1.21
C -1.88 -0.28 -0.93
S 0.59 -0.26 1.81
O 1.60 -0.07 2.98
O -0.76 -0.02 2.38
F 0.60 -1.90 1.33
H 3.32 4.69 1.68
H 3.62 0.18 -0.07
H 3.10 1.00 -1.69
H 2.50 -1.16 -2.52
H 1.39 -1.51 -1.13
H 3.44 -3.19 -1.37
H 3.59 -2.30 0.22
H -2.23 3.04 0.64
H -4.33 1.83 1.64
H -4.84 -0.66 1.04
-- stop --

Completed:
C 3.08 -2.41 0.34
C 2.87 -1.67 1.55
C 2.28 -2.16 -0.78
C 1.85 -0.69 1.61
C 1.25 -1.21 -0.71
C 1.04 -0.52 0.48
N -1.62 0.75 -1.66
C -0.53 1.25 2.51
C -1.91 0.63 -3.09
H -2.83 2.16 1.14
H 3.86 -3.13 0.31
H 3.58 -1.70 2.36
H 2.47 -2.67 -1.71
H 1.74 -0.11 2.51
H -1.25 1.93 2.94
H 0.48 1.65 2.68
H -0.61 0.32 3.05
H -0.96 0.60 -3.62
H -2.42 1.51 -3.51
H -2.54 -0.27 -3.30
*
```


2.
Molecular formula: C13H11ClN2O3S
Method: DFT, wB97M-V/def2-TZVPD

Computed properties:
E_HOMO in eV: -8.693
Structure (SMILES): O=S(=O)(c1ccc(Cl)cc1)c1ccc(C2=NCCN2)o1
Relative energy (zero: lowest compared OMol25 entry of this formula, charge and spin) in kcal per mole: 70.8
Orbital gap in eV: 8.650

ORCA input file:
```
! wB97M-V def2-TZVPD RIJCOSX def2/J DEFGRID3
* xyz 0 1
O -1.23 2.64 -2.16
O 1.14 3.25 -2.26
Cl 1.16 -3.29 -4.89
N -0.01 -0.47 3.92
O -0.48 0.99 0.58
C -0.56 -0.17 2.79
C 1.29 1.43 1.93
C 1.43 2.17 0.67
C 0.06 0.77 1.82
C 0.41 1.76 -0.15
C 1.68 -1.41 -3.03
C -0.06 -0.89 -4.58
C 1.52 -0.14 -2.43
C -0.29 0.33 -3.94
C 0.92 -1.77 -4.11
C 0.50 0.67 -2.85
N -1.84 -0.73 2.64
C -0.96 -1.37 4.64
C -2.27 -1.29 3.92
S 0.15 2.20 -1.89
H 2.00 1.28 2.77
H 2.27 2.82 0.41
H 2.47 -2.11 -2.69
H -0.66 -1.17 -5.48
H 2.19 0.19 -1.63
H -1.05 0.99 -4.39
H -2.48 -0.38 1.91
H -1.05 -1.07 5.69
H -0.57 -2.39 4.54
H -2.75 -2.27 3.81
H -2.96 -0.58 4.43
*
```


3.
Molecular formula: C13H11EuF7GaO2S
Method: DFT, wB97M-V/def2-TZVPD

Computed properties:
E_HOMO (alpha / beta) in eV: -10.987 / -10.987
Relative energy (zero: lowest compared OMol25 entry of this formula, charge and spin) in kcal per mole: 0.0
Orbital gap (alpha / beta) in eV: 4.975 / 5.136

ORCA input file:
```
! wB97M-V def2-TZVPD RIJCOSX def2/J DEFGRID3
* xyz 1 8
C 2.52 3.93 1.49
C 1.92 2.96 1.03
Ga 1.25 1.22 0.13
C 2.82 0.29 -0.86
C 2.43 -1.16 -1.39
C 3.56 -2.17 -0.91
F 4.84 -1.62 -1.28
C -0.29 1.78 -1.16
F -0.38 3.16 -1.33
F -0.03 1.21 -2.43
C -1.60 1.14 -0.56
C -2.46 1.97 0.36
C -3.67 1.27 0.93
C -3.94 -0.17 0.57
C -3.09 -0.97 -0.36
C -3.37 -2.45 -0.77
F -3.13 -3.31 0.32
F -2.50 -2.87 -1.79
F -4.69 -2.56 -1.21
C -1.88 -0.28 -0.93
S 0.59 -0.26 1.81
O 1.60 -0.07 2.98
O -0.76 -0.02 2.38
F 0.60 -1.90 1.33
H 3.32 4.69 1.68
H 3.62 0.18 -0.07
H 3.10 1.00 -1.69
H 2.50 -1.16 -2.52
H 1.39 -1.51 -1.13
H 3.44 -3.19 -1.37
H 3.59 -2.30 0.22
H -2.23 3.04 0.64
H -4.33 1.83 1.64
H -4.84 -0.66 1.04